What does Social Trading Mean?
What Is the Recommended Leverage for My PAMM Account?
How Do I Subscribe to Social Trading?
Can I Withdraw My Money from Social Trading at Any Time?
Which currencies are traded with Social Trading?
How Much Does It Cost to Subscribe to Social Trading?
Is there a minimum amount to invest in Social Trading
Is There a Recommended Amount to Invest in Social Trading?
Can you run Social Trading on a Demo Account?
Can you Run FinGoPro Full Risk and FinGoPro Half Risk simultaneously?
Can you use AP Social in the United States?
How to Setup an AP Social Trading Account?
What Does Social Trading Mean?
Social Trading is a common phrase used to indicate a pool-type management of funds that multiple investors have deposited into a PAMM. PAMM is an acronym for percentage allocation management module, also known as percentage allocation money management. This technology allows multiple investors to deposit different amounts of money, ensuring that each investor receives profits or losses according to their balance and the amount of risk assigned to their account.
What Is the Recommended Leverage for My PAMM Account?
The investor does not determine the leverage on the PAMM. The money manager is responsible for the details that surround the trading on the PAMM. An investor can determine a limited number of aspects regarding their investment in a PAMM.
How Do I Subscribe to Social Trading?
First, Social Trading is not accessible to all the members of Auvoria Prime. The company strives to comply with the laws that govern any country that customers are citizens of, so citizens of the United States are prohibited from Social Trading. As Auvoria Prime is made aware of countries that change their laws regarding PAMMs, members of Auvoria Prime may be prohibited from entering into or continuing to be a part of Social Trading. To subscribe to Social Trading, you can find a link to join Social Trading in the Auvoria Prime back office.
Can I Withdraw My Money from Social Trading at Any Time?
Each PAMM will have different rules. Auvoria Prime only provides exclusive access to the PAMMs but has no involvement in the details around the PAMM. Some PAMMs will allow a weekly withdrawal of funds, while others may allow withdrawals once per month. Please ensure that you read the guidelines that each PAMM is governed by and choose to participate only in the PAMM(s) that meet your wishes.
When a withdrawal time is active, you will be able to withdraw all of your funds.
Which currencies are traded with Social Trading?
The software or manual traders involved in the trading of the PAMM are the ones that will determine which markets are traded. It is most likely that they will be forex pairs and indexes. Again, each PAMM will provide a detailed description of the PAMM, and it is important that you read this information; if you need assistance with understanding your choices, you find the answers to your questions online or with the help of a knowledgeable person or company.
== Attached: records of crystals ==
No. 1
Theoretical PXRD pattern of Fe2NiN2 for Cu Kα, 1.54184 Å, from a cell relaxed with GGA-PBE.
Lines closer than 0.1° are merged.

Cell and atoms:
```
data_Fe2NiN2
_chemical_formula_sum 'Fe4 Ni2 N4'
_cell_length_a 2.746
_cell_length_b 11.826
_cell_length_c 2.800
_cell_angle_alpha 90.00
_cell_angle_beta 90.00
_cell_angle_gamma 90.00
_symmetry_space_group_name_H-M 'P m m n'
_symmetry_Int_Tables_number 59
loop_
_symmetry_equiv_pos_as_xyz
'x,y,z'
'-x,-y,-z'
'-x+1/2,-y+1/2,z'
'x+1/2,y+1/2,-z'
'x+1/2,-y,-z'
'-x+1/2,y,z'
'-x,y+1/2,-z'
'x,-y+1/2,z'
loop_
_atom_site_label
_atom_site_fract_x
_atom_site_fract_y
_atom_site_fract_z
Fe1 0.250 0.070 0.228
Ni1 0.250 0.750 0.295
N1 0.250 0.596 0.265
```

Largest 10 diffraction maxima, sorted by position, 10 to 90 degrees two-theta:
- 39.5 deg, I = 88.9
- 40.0 deg, I = 89.7
- 46.0 deg, I = 44.4
- 46.3 deg, I = 100.0
- 66.8 deg, I = 13.0
- 67.4 deg, I = 49.7
- 68.3 deg, I = 14.1
- 80.8 deg, I = 24.5
- 81.9 deg, I = 19.3
- 86.4 deg, I = 11.9

No. 2
Theoretical PXRD pattern of Ba4Rh for Cu Kα, 1.54184 Å, from a cell relaxed with GGA-PBE.
Lines closer than 0.1° are merged.

Cell and atoms:
a = 13.168 Å, b = 13.168 Å, c = 13.168 Å
α = 90.00°, β = 90.00°, γ = 90.00°
Space group Fd-3m (No. 227, origin choice 2)
Asymmetric unit:
1 Ba 0.001 0.001 0.249
2 Rh 0.125 0.125 0.625

Largest 10 diffraction maxima, sorted by position, 10 to 90 degrees two-theta:
- 19.1 deg, I = 10.2
- 23.4 deg, I = 100.0
- 27.1 deg, I = 33.2
- 38.7 deg, I = 57.8
- 45.7 deg, I = 49.4
- 61.4 deg, I = 20.5
- 63.2 deg, I = 12.1
- 70.0 deg, I = 20.1
- 74.9 deg, I = 15.4
- 87.7 deg, I = 15.9

No. 3
Theoretical PXRD pattern of Li8Ti16CuS32 for Cu Kα, 1.54184 Å, from a cell relaxed with GGA-PBE.
Lines closer than 0.1° are merged.

Cell and atoms:
```
data_Li8Ti16CuS32
_chemical_formula_sum 'Li8 Ti16 Cu1 S32'
_cell_length_a 7.040
_cell_length_b 7.044
_cell_length_c 23.443
_cell_angle_alpha 90.20
_cell_angle_beta 98.43
_cell_angle_gamma 119.96
_symmetry_space_group_name_H-M 'P 1'
_symmetry_Int_Tables_number 1
_symmetry_space_group_name_Hall 'P 1'
loop_
_atom_site_label
_atom_site_fract_x
_atom_site_fract_y
_atom_site_fract_z
Li1 0.000 0.000 0.000
Li2 0.000 0.500 0.500
Li3 0.001 0.497 0.000
Li4 0.245 0.368 0.613
Li5 0.253 0.877 0.126
Li6 0.501 0.749 0.250
Li7 0.748 0.122 0.873
Li8 0.751 0.624 0.375
Ti1 0.002 0.251 0.251
Ti2 0.003 0.748 0.754
Ti3 0.249 0.630 0.875
Ti4 0.250 0.115 0.874
Ti5 0.251 0.123 0.375
Ti6 0.251 0.623 0.375
Ti7 0.253 0.372 0.126
Ti8 0.258 0.879 0.624
Ti9 0.500 0.499 0.999
Ti10 0.501 0.997 0.497
Ti11 0.746 0.367 0.624
Ti12 0.749 0.373 0.126
Ti13 0.750 0.875 0.624
Ti14 0.751 0.124 0.375
Ti15 0.753 0.876 0.126
Ti16 0.756 0.626 0.875
Cu1 0.315 0.407 0.723
S1 0.119 0.049 0.687
S2 0.119 0.066 0.187
S3 0.119 0.567 0.686
S4 0.120 0.552 0.187
S5 0.124 0.310 0.434
S6 0.127 0.812 0.936
S7 0.133 0.315 0.936
S8 0.133 0.817 0.436
S9 0.368 0.430 0.313
S10 0.368 0.932 0.813
S11 0.378 0.938 0.316
S12 0.380 0.437 0.818
S13 0.382 0.682 0.063
Auvoria Prime cannot advise how to invest your money or any type of customized strategy for your trading. Auvoria Prime finds and vets, to the best of its ability, PAMMs that meet a set of criteria, but the responsibility is ultimately up to the investor.
As with all investing, there are risks, so it is important to ask questions and decide to invest in a PAMM without haste.
How Much Does It Cost to Subscribe to Social Trading?
There are a few costs associated with Social Trading. First, a $300 one-time connection fee grants an Auvoria Prime member to any of the PAMMs in the marketplace. People or companies can invest in as many PAMMs as they choose with no additional fees.
Second, a monthly subscription of $75 to maintain access to a PAMM. This fee is waived if a member has a Silver Access Pass or higher.
Other fees are associated with the PAMMs, but these fees are outside of Auvoria Prime. The fees are commonly performance fees, which is how the money manager gets paid. The performance fee will be in the detailed description of the PAMM and can range from 10-50%. This means that if you receive $1000 profit in a given month and the performance fee is 20%, the money manager gets $200, and your profit is $800.
It is not uncommon to also have a management fee, which is for the broker and liquidity provider for the maintenance involved with the PAMM. This fee varies and will be stated in the description. Please take your time to read the details of each PAMM, so you are aware of the details and have proper expectations.
Is there a minimum amount to invest in Social Trading?
Each money manager will decide this. Some PAMMs can have a minimum of $500, while others may be as high as $25,000.
Is There a Recommended Amount to Invest in Social Trading?
Auvoria Prime cannot recommend an amount but can say that you should only invest what you can lose. This is proper risk management. While Auvoria Prime has done its best only to include PAMMs in the marketplace that meets certain criteria, the markets are volatile, and the unexpected can happen.
One of the criteria Auvoria Prime asks about is proper risk management. This means that stop losses and equity protection are used, so it is very unlikely that an entire account would ever be lost in one trade.
Can you run Social Trading on a Demo account?
No, the information visible to an investor will vary by PAMM. Money managers will often hide the trades so that people cannot copy the trades of the PAMM and thus, bypass paying the performance fees. It is like stealing intellectual property from the money manager.
It is common for the investor to receive a daily report of the trades entered into and a statement of profit and losses for the day.
Can you Run FinGoPro Full Risk and FinGoPro Half Risk simultaneously?
If a person purchases a FinGoPro they can do both the Full Risk and the Half Risk for that FinGoPro. However, this needs to be under the same broker for the price of one AP Social Subscription.
Can you use AP Social in the United States?
AP Social can not be used in the United States. In addition to restrictions imposed by Auvoria Prime, the brokers have their restrictions.
How to Setup an AP Social Trading Account?
For detailed Instructions on how to set up an AP Social Trading Account, visit this link.